(Request)
Please retype the lines underneath from the one with "-4.51402 -1.72226" to the one with "-2.01183" without altering anything.

(Entries)
+++
7 unconnected molecules or ions with the total composition C6H26O10. Source: the OMol25 dataset; level of theory: ωB97M-V with the def2-TZVPD basis set.

Structure (XYZ):
```
42
Properties=species:S:1:pos:R:3
O -0.45233 -0.75419 0.03288
H -1.20133 -0.36919 -0.39512
H -0.43133 -0.37719 0.90288
O -2.87433 0.11181 -0.45212
H -3.15933 -0.78919 -0.38912
H -3.43233 0.41381 0.28388
O -1.07333 -3.88919 0.62388
H -0.40733 -3.91119 -0.03312
H -1.52433 -3.06819 0.42788
O 2.18967 -2.12319 -0.07712
H 1.79267 -2.79319 -0.63412
H 1.41267 -1.63419 0.17488
C -0.57133 -0.05319 -3.39412
C -0.09333 1.25781 -3.98312
O -0.04933 2.23581 -2.85012
O -0.78733 -1.00019 -4.40612
H -1.49633 0.04481 -2.90212
H 0.01467 -0.44819 -2.56812
H -0.63033 1.62681 -4.76812
H 0.89967 1.18381 -4.36112
H -0.88933 2.62481 -2.64512
H -1.42733 -0.62819 -5.05912
C 2.21167 1.50181 -0.38212
C 1.34667 2.66781 -0.02612
O 1.59667 3.15781 1.28388
O 2.34667 1.44081 -1.79712
H 1.90567 0.52381 0.04688
H 3.18567 1.73381 -0.03212
H 0.32367 2.31381 0.02888
H 1.42567 3.44781 -0.83212
H 1.14867 2.57481 1.83388
H 1.48767 1.42381 -2.23412
C -0.93333 -0.84919 3.36788
C -0.17333 -0.98719 4.64488
O 1.07067 -1.62119 4.47588
O -0.23633 0.05581 2.61988
H -1.97233 -0.50519 3.36088
H -0.90433 -1.78419 2.87288
H -0.79133 -1.70419 5.31288
H -0.11533 -0.05019 5.15788
H 1.17067 -1.81019 3.57988
H 0.09767 0.80881 3.18888
```

## Properties
HOMO-LUMO gap ... 9.1 eV
HOMO energy ... -9.460 eV
SMILES ... OCCO.OCCO.OCCO.O.O.O.O

---

7 unconnected molecules or ions with the total composition C6H26O7. Source: the OMol25 dataset; level of theory: ωB97M-V with the def2-TZVPD basis set.

Structure (XYZ):
```
39
Properties=species:S:1:pos:R:3
C 1.18766 -0.21101 2.38829
C 0.38733 -0.27092 1.06825
O -0.19218 1.03000 0.94911
H 2.03283 0.43537 2.15168
H 1.54670 -1.22308 2.57511
H 0.60462 0.21651 3.20401
H -0.28257 -1.12140 1.19475
H 0.97402 -0.43081 0.16363
H -0.66929 1.05370 0.11641
C -2.76907 -1.45792 -0.40352
C -3.87999 -2.38665 -0.83292
O -4.49102 -2.90981 0.33054
H -1.99950 -1.27703 -1.15395
H -2.02374 -1.93673 0.23156
H -3.16171 -0.49851 -0.06665
H -3.55039 -3.14969 -1.53807
H -4.51402 -1.72226 -1.42002
H -5.01387 -3.69292 0.14355
C -0.09271 3.13247 -2.58877
C -0.06756 1.67141 -3.03823
O -0.67620 0.83816 -2.02627
H 0.38222 3.70781 -3.38346
H 0.43282 3.22534 -1.63835
H -1.04858 3.52677 -2.24385
H 0.92829 1.24502 -3.15903
H -0.66906 1.65385 -3.94707
H -1.61739 1.02671 -2.01183
O 4.24336 -1.33894 -0.15066
H 3.83164 -1.78553 -0.89044
H 3.82877 -0.47642 -0.13008
O 1.56731 3.01453 1.62375
H 0.97701 3.76216 1.52985
H 0.98945 2.25144 1.62709
O 3.35069 1.41763 0.28579
H 2.83597 2.10290 0.71206
H 3.53062 1.76177 -0.58909
O 1.35042 -3.70040 3.85942
H 1.20865 -4.26348 3.09846
H 0.52848 -3.22004 3.95897
```

## Properties
HOMO-LUMO gap (spin up / spin down) ... 10.3 / 3.0 eV
Spin multiplicity ... 2
HOMO energy (spin up / spin down) ... -13.373 / -13.218 eV
Net charge ... +1

---

Max |F| per entry: 0.0843 0.0852 Eh/bohr
ΔE to the lowest compared entry with this formula, charge and spin per entry: 317.38 215.19 kJ/mol
Energy per entry: -27115.556 -20964.678 eV

~~~~~

(1)
This record from the OMol25 dataset describes a structure of composition C48H55BN4OP2SSi2Sr. The level of theory is ωB97M-V/def2-TZVPD.

```
! RIJCOSX wB97M-V def2-TZVPD def2/J DEFGRID3
* xyz -2 1
Sr 0.080 -0.092 -0.842
C -2.733 -0.784 1.413
P -1.643 -2.260 1.626
C -1.403 -2.191 3.448
C -0.154 -1.769 3.898
C 0.109 -1.662 5.257
C -0.871 -1.988 6.183
C -2.117 -2.418 5.745
C -2.379 -2.516 4.387
C -2.758 -3.704 1.497
C -2.307 -4.949 1.938
C -3.075 -6.087 1.764
C -4.309 -6.008 1.126
C -4.761 -4.781 0.668
C -3.992 -3.639 0.854
C -1.960 0.374 1.989
C -2.386 1.204 3.010
C -1.265 1.989 3.367
C -0.233 1.570 2.543
C 1.184 2.068 2.616
P 2.164 1.770 1.089
C 3.442 3.078 1.257
C 3.385 4.156 0.377
C 4.291 5.204 0.479
C 5.267 5.184 1.463
C 5.336 4.112 2.345
C 4.431 3.068 2.241
C 3.178 0.279 1.433
C 3.778 -0.302 0.315
C 4.576 -1.429 0.436
C 4.770 -2.004 1.684
+++

(Done)
H -4.51402 -1.72226 -1.42002
H -5.01387 -3.69292 0.14355
C -0.09271 3.13247 -2.58877
C -0.06756 1.67141 -3.03823
O -0.67620 0.83816 -2.02627
H 0.38222 3.70781 -3.38346
H 0.43282 3.22534 -1.63835
H -1.04858 3.52677 -2.24385
H 0.92829 1.24502 -3.15903
H -0.66906 1.65385 -3.94707
H -1.61739 1.02671 -2.01183